Contents:
+++
A relaxed structure of CsRb2LaI6, computed with PBE.

Values from the calculation:
**DOS at the Fermi energy**: 0.00 states/eV/cell
**E_form (uncorrected)**: -1434 meV/atom

Cell lengths 13.554, 13.554, 13.554 Å; angles 90.00, 90.00, 90.00 degrees
Space group Fm-3m (No. 225)
Inequivalent atoms, fractional coordinates:
Cs1 0.000 0.000 0.000 x4
Rb1 0.250 0.250 0.250 x8
La1 0.000 0.000 0.500 x4
I1 0.000 0.000 0.268 x24
+++
Exercise:
Your job: transcribe all of the listing further above exactly.
Result:
A relaxed structure of CsRb2LaI6, computed with PBE.

Values from the calculation:
**DOS at the Fermi energy**: 0.00 states/eV/cell
**E_form (uncorrected)**: -1434 meV/atom

Cell lengths 13.554, 13.554, 13.554 Å; angles 90.00, 90.00, 90.00 degrees
Space group Fm-3m (No. 225)
Inequivalent atoms, fractional coordinates:
Cs1 0.000 0.000 0.000 x4
Rb1 0.250 0.250 0.250 x8
La1 0.000 0.000 0.500 x4
I1 0.000 0.000 0.268 x24